Many Hands Really Do Make Light Work

# 1
Tc2TeOs | SCAN | PBEsol geometry

abc: 2.826 2.826 9.351
angles: 90.00 90.00 118.20
Atoms (fractional coordinates):
Tc: 0.500 0.500 0.774
Te: 0.000 0.000 0.503
Os: 0.500 0.500 0.226
Tc: 0.000 0.000 0.997

=====

# 2
Zr3Al | SCAN | PBEsol geometry

abc: 4.324 4.324 4.324
angles: 90.00 90.00 90.00
Atoms (fractional coordinates):
Zr: 0.000 0.500 0.500
Zr: 0.500 0.500 0.000
Zr: 0.500 0.000 0.500
Al: 0.000 0.000 0.000

Calculated values
As for the energy relative to the elements: -0.31 eV/atom.

=====

# 3
La4Al | SCAN | PBEsol geometry

abc: 4.214 4.214 9.822
angles: 102.39 102.39 90.00
Atoms (fractional coordinates):
La: 0.750 0.250 0.500
La: 0.579 0.579 0.158
La: 0.421 0.421 0.842
La: 0.250 0.750 0.500
Al: 0.000 0.000 0.000

Calculated values
As for the energy relative to the elements: 0.26 eV/atom.

=====

Total energy (computed, eV/atom): -43.91; -25.27; -35.77
Total moment (computed, μB per cell): 0.00; 0.00; 0.16

----------

1:
Compound: Sm6Dy4Y
Source: Alexandria via LeMat-Bulk
Functional: GGA-PBE
Structure: relaxed

Results
As for the space group: I-42m.

Cell: 8.6045 8.6045 8.6045 Å, 127.97 127.97 76.67°
Positions (direct):
Sm (0.0000, 0.5000, 0.5000)
Sm (0.0426, 0.5813, 0.0000)
Sm (0.4187, 0.4187, 0.4613)
Sm (0.5000, 0.0000, 0.5000)
Sm (0.5813, 0.0426, 0.0000)
Sm (0.9574, 0.9574, 0.5387)
Dy (0.2553, 0.2553, 0.6693)
Dy (0.4140, 0.7447, 0.0000)
Dy (0.5860, 0.5860, 0.3307)
Dy (0.7447, 0.4140, 0.0000)
Y (0.0000, 0.0000, 0.0000)

***

2:
Compound: Sm6Dy4Y
Source: Alexandria via LeMat-Bulk
Functional: GGA-PBE
Structure: relaxed

Results
As for the space group: Cmcm.

Cell: 5.6446 5.6446 25.6936 Å, 90.00 90.00 117.70°
Positions (direct):
Sm (0.0000, 0.0000, 0.0000)
Sm (0.0000, 0.0000, 0.5000)
Sm (0.0529, 0.9471, 0.7500)
Sm (0.2965, 0.7035, 0.1026)
Sm (0.2965, 0.7035, 0.3974)
Sm (0.3796, 0.6204, 0.6819)
Sm (0.3796, 0.6204, 0.8181)
Sm (0.6204, 0.3796, 0.1820)
Sm (0.6204, 0.3796, 0.3180)
Sm (0.7035, 0.2965, 0.6026)
Sm (0.7035, 0.2965, 0.8974)
Sm (0.9471, 0.0529, 0.2500)
Dy (0.0467, 0.9533, 0.6230)
Dy (0.0467, 0.9533, 0.8770)
Dy (0.3517, 0.6483, 0.5436)
Dy (0.3517, 0.6483, 0.9564)
Dy (0.6483, 0.3517, 0.0436)
Dy (0.6483, 0.3517, 0.4564)
Dy (0.9533, 0.0467, 0.1230)
Dy (0.9533, 0.0467, 0.3770)
Y (0.2852, 0.7148, 0.2500)
Y (0.7148, 0.2852, 0.7500)

***

Here is how they stack up, most stable first: 2, 1.

***

1:
Compound: Sm3Dy4Y
Source: Alexandria via LeMat-Bulk
Functional: GGA-PBE
Structure: relaxed

Results
As for the space group: C2/m.

Cell: 11.8898 11.8898 6.7294 Å, 106.38 106.38 16.91°
Positions (direct):
Sm (0.0000, 0.0000, 0.0000)
Sm (0.1262, 0.1262, 0.8707)
Sm (0.8738, 0.8738, 0.1293)
Dy (0.1248, 0.1248, 0.3830)
Dy (0.2599, 0.2599, 0.2661)
Dy (0.7401, 0.7401, 0.7339)
Dy (0.8752, 0.8752, 0.6170)
Y (0.5000, 0.5000, 0.5000)

***

2:
Compound: Sm3Dy4Y
Source: Alexandria via LeMat-Bulk
Functional: GGA-PBE
Structure: relaxed

Results
As for the space group: Pmn2_1.

Cell: 11.4069 7.3095 6.3125 Å, 90.00 90.00 90.00°
Positions (direct):

I know, I know. That “many hands make light work” expression is nothing new. We’ve all heard it before, although, I typically prefer a different variation: “teamwork makes the dream work”. I’ve always accepted it to be true, but I have never seen it on quite the scale that I witnessed at Arlington National CemeteryRead… Read more »

A Call To Arms For Cybersecurity

Think back over the recent history of high-profile cyberattacks. Target, Sony, CENTCOM, celebrity nude photos, to name a few, but the list goes on. It’s starting to seem like every time we open our news portals, there’s word of yet another breach in cybersecurity. Chris Dorobek, host of the podcast DorobekINSIDER, recently interviewed a leadingRead… Read more »

What Does a Creative Organisation Look Like?

~~~
Record 1
# Ca2LaAl

Ca2LaAl after structural relaxation (GGA-PBE, Alexandria via LeMat-Bulk).

Summary:
**Density of states at the Fermi level**: 1.44 states/eV/atom
**ΔE_f**: -1.4 kcal/mol of atoms

CIF file:
```
data_Ca2LaAl
_chemical_formula_sum 'Ca4 La2 Al2'
_cell_length_a 3.903
_cell_length_b 5.668
_cell_length_c 11.937
_cell_angle_alpha 90.00
_cell_angle_beta 90.00
_cell_angle_gamma 90.00
_symmetry_space_group_name_H-M 'I m m m'
_symmetry_Int_Tables_number 71
_symmetry_space_group_name_Hall '-I 2 2'
loop_
_atom_site_label
_atom_site_type_symbol
_atom_site_fract_x
_atom_site_fract_y
_atom_site_fract_z
Ca1 Ca 0.000 0.000 0.210
La1 La 0.000 0.500 0.000
Al1 Al 0.000 0.500 0.500
```

***

Record 2
# KTcAg

KTcAg after structural relaxation (GGA-PBE, Alexandria via LeMat-Bulk).

Summary:
**Polymorph energy (0 for the lowest one)**: 2.8 meV per atom
**Density of states at the Fermi level**: 1.30 states/eV/atom
**ΔE_f**: 21.5 kcal/mol of atoms

CIF file:
```
data_KTcAg
_chemical_formula_sum 'K2 Tc2 Ag2'
_cell_length_a 2.753
_cell_length_b 2.753
_cell_length_c 16.133
_cell_angle_alpha 90.00
_cell_angle_beta 90.00
_cell_angle_gamma 90.00
_symmetry_space_group_name_H-M 'I 4 m m'
_symmetry_Int_Tables_number 107
_symmetry_space_group_name_Hall 'I 4 -2'
loop_
_atom_site_label
_atom_site_type_symbol
_atom_site_fract_x
_atom_site_fract_y
_atom_site_fract_z
K1 K 0.000 0.000 0.000
Tc1 Tc 0.000 0.000 0.323
Ag1 Ag 0.000 0.000 0.687
```

***

Record 3
# PaSbRu2

PaSbRu2 after structural relaxation (GGA-PBE, Alexandria via LeMat-Bulk).

Summary:
**Polymorph energy (0 for the lowest one)**: 7.1 meV per atom
**Density of states at the Fermi level**: 0.81 states/eV/atom
**Formation energy (no corrections)**: -34.7 kJ per mole of atoms

CIF file:
```
data_PaSbRu2
_chemical_formula_sum 'Pa1 Sb1 Ru2'
_cell_length_a 4.440
_cell_length_b 4.440
_cell_length_c 3.806
_cell_angle_alpha 90.00
_cell_angle_beta 90.00
_cell_angle_gamma 90.00
_symmetry_space_group_name_H-M 'P 4/m m m'
_symmetry_Int_Tables_number 123
_symmetry_space_group_name_Hall '-P 4 2'
loop_
_atom_site_label
_atom_site_type_symbol
_atom_site_fract_x
_atom_site_fract_y
_atom_site_fract_z
Pa1 Pa 0.000 0.000 0.000
Sb1 Sb 0.500 0.500 0.000
Ru1 Ru 0.000 0.500 0.500
```

***

Record 4
# CuAg2Br2

CuAg2Br2 after structural relaxation (GGA-PBE, Alexandria via LeMat-Bulk).

Summary:
**Polymorph energy (0 for the lowest one)**: 68.0 meV per atom
**Density of states at the Fermi level**: 0.47 states/eV/atom
**Formation energy (no corrections)**: 27.5 kJ per mole of atoms

CIF file:
```
data_CuAg2Br2
_chemical_formula_sum 'Cu2 Ag4 Br4'
_cell_length_a 5.559
_cell_length_b 5.559
_cell_length_c 8.071
_cell_angle_alpha 90.00
_cell_angle_beta 90.00
_cell_angle_gamma 90.00
_symmetry_space_group_name_H-M 'I 4/m m m'
_symmetry_Int_Tables_number 139
_symmetry_space_group_name_Hall '-I 4 2'
loop_
_atom_site_label
_atom_site_type_symbol
_atom_site_fract_x
_atom_site_fract_y
_atom_site_fract_z
Cu1 Cu 0.000 0.000 0.000
~~~
The materials data stop here

“I think it is important to point out that creativity is a human capability. It is not owned by, or restricted to artists, designers and architects; everyone has it, but the real question is how you harness creativity in such a way that it can be made productive.” There has been a growing recognition inRead… Read more »

3 Keys to Your Career: Passion, Relationships, and Mastery of Trade

For 65 years my grandfather worked as a tailor at Learbury’s in Syracuse, nearly the entire duration of the company. He was a master of his trade, tailoring suits for mayors, governors and the uniforms for the Triple A baseball team in Syracuse (at the time it was the Yankees, now it’s the Nationals). HeRead… Read more »

The Open Office Layout: The Good, The Bad & The Ugly

Although the public sector typically falls into the laggard category of adopting workplace trends, the open office layout is something that just cannot be avoided nowadays. According to a study conducted by Emerald Insight, over 70% of all offices have switched from cube farms to the open office layout. So whether you like it orRead… Read more »

Why You Should Be Following Interior on Twitter

The day I discovered the U.S. Department of the Interior (@Interior)’s twitter feed, my sense of patriotism just about doubled. Not only is it a great example of how a federal agency can use social media to inform people about our nation’s resources and programs, but also, it’s incredibly fun and beautiful to scroll through.Read… Read more »

It’s Time for Your Security Health Check

If you were feeling a little unsettled about possibly missing a list of “all-things cybersecurity products” offered on GovLoop’s “From Framework to Action: Understanding the NIST Cybersecurity Framework” online training yesterday, I’m here to tell you that it may be time for your security posture check-up. “The idea of security being a certification or aRead… Read more »

When Cutbacks Become Amputations: Trim the Fat, Not the Foot

• Between two parts of the page: materials data:
........
Here is a relaxed GaCoCuF6 crystal from Alexandria. Energies are from PBE with a Hubbard U.

Properties
E_tot   -4.643 eV/atom
Density of states at the Fermi level   0.92 states/eV/atom

a = 5.2852 Å, b = 5.2852 Å, c = 9.3553 Å
α = 90.00°, β = 90.00°, γ = 120.00°
Closest atoms and distances in Å follow each position.
Space group P-31c (No. 163)
Symmetry-distinct sites (fractional):
1 Ga 0.3333 0.6667 0.2500 x2  6 F 1.94
2 Co 0.3333 0.6667 0.7500 x2  6 F 2.07
3 Cu 0.0000 0.0000 0.0000 x2  6 F 2.28
4 F 0.0188 0.3649 0.1376 x12  1 Ga 1.94, 1 Co 2.07
........

The idea of cutbacks doesn’t have to be synonymous with layoffs, but when budget cuts are imminent it’s only logical that we start looking for redundancies in our staff. But consider what this means. Nobody takes it lightly when the axe man cometh, but when we eliminate staff we are making the declaration that theirRead… Read more »